Quote of the Week

Common sense is such a rarity these days, it should be classified as a super power.

Entry 1:
Material: LiZrIn
Method: DFT, GGA-PBEsol
State: optimized geometry

**DFT total energy**: -4.857 eV per atom
**Energy relative to the elements**: -0.5 eV per formula unit

Unit cell a=4.6429 b=4.6429 c=3.1492 alpha=90.00 beta=90.00 gamma=120.00
With the nearest neighbours (Å) after each atom.
Element x y z (fractional)
1 Li 0.0000 0.0000 0.0000  3 In 2.68
2 Zr 0.3333 0.6667 0.5000  6 Li 3.11, 6 In 3.11, 2 Zr 3.15
3 In 0.6667 0.3333 0.0000  3 Li 2.68

Entry 2:
Material: MnCuMo2
Method: DFT, GGA-PBEsol
State: optimized geometry

**DFT total energy**: -9.103 eV per atom
**Energy relative to the elements**: 1.2 eV per formula unit

Unit cell a=4.8591 b=4.8591 c=4.8591 alpha=142.51 beta=129.64 gamma=64.44
With the nearest neighbours (Å) after each atom.
Element x y z (fractional)
1 Mn 0.0000 0.0000 0.0000  6 Mo 2.45-2.60, 2 Cu 2.59
2 Cu 0.7492 0.2492 0.5000  2 Mn 2.59, 8 Mo 2.60-2.81
3 Mo 0.2292 0.7292 0.5000  2 Mn 2.45, 2 Mo 2.59, 4 Cu 2.60
4 Mo 0.4802 0.4802 0.0000  2 Mo 2.59, 4 Mn 2.60, 4 Cu 2.71-2.81

Entry 3:
Material: Mg30AlNiO32
Method: DFT, GGA-PBEsol
State: optimized geometry

**DFT total energy**: -6.256 eV per atom
**Raw formation energy**: -2666 meV per atom

Unit cell a=8.4378 b=8.4378 c=8.4103 alpha=90.00 beta=90.00 gamma=90.00
With the nearest neighbours (Å) after each atom.
Element x y z (fractional)
1 Mg 0.0000 0.0000 0.0000  6 O 2.04-2.12
2 Mg 0.0000 0.2469 0.2528  6 O 2.08-2.14
3 Mg 0.0000 0.2469 0.7472  6 O 2.08-2.14
4 Mg 0.0000 0.5000 0.0000  6 O 2.10-2.14
5 Mg 0.0000 0.5000 0.5000  4 O 1.98-2.10
6 Mg 0.0000 0.7531 0.2528  6 O 2.08-2.14
7 Mg 0.0000 0.7531 0.7472  6 O 2.08-2.14
8 Mg 0.2460 0.2460 0.5000  6 O 2.08-2.15
9 Mg 0.2460 0.7540 0.5000  6 O 2.08-2.15
10 Mg 0.2469 0.0000 0.2528  6 O 2.08-2.14
11 Mg 0.2469 0.0000 0.7472  6 O 2.08-2.14
12 Mg 0.2485 0.5000 0.2500  6 O 2.10-2.13
13 Mg 0.2485 0.5000 0.7500  6 O 2.10-2.13
14 Mg 0.2487 0.2487 0.0000  6 O 2.10-2.12
15 Mg 0.2487 0.7513 0.0000  6 O 2.10-2.12
16 Mg 0.5000 0.0000 0.0000  6 O 2.10-2.14
17 Mg 0.5000 0.0000 0.5000  4 O 1.98-2.10
18 Mg 0.5000 0.2485 0.2500  6 O 2.10-2.13
19 Mg 0.5000 0.2485 0.7500  6 O 2.10-2.13
20 Mg 0.5000 0.5000 0.0000  6 O 2.08-2.22
21 Mg 0.5000 0.7515 0.2500  6 O 2.10-2.13
22 Mg 0.5000 0.7515 0.7500  6 O 2.10-2.13
23 Mg 0.7513 0.2487 0.0000  6 O 2.10-2.12
24 Mg 0.7513 0.7513 0.0000  6 O 2.10-2.12
25 Mg 0.7515 0.5000 0.2500  6 O 2.10-2.13
26 Mg 0.7515 0.5000 0.7500  6 O 2.10-2.13
27 Mg 0.7531 0.0000 0.2528  6 O 2.08-2.14
28 Mg 0.7531 0.0000 0.7472  6 O 2.08-2.14
29 Mg 0.7540 0.2460 0.5000  6 O 2.08-2.15
30 Mg 0.7540 0.7540 0.5000  6 O 2.08-2.15
31 Al 0.5000 0.5000 0.5000  6 O 1.96-1.99
32 Ni 0.0000 0.0000 0.5000  6 O 2.17-2.24
33 O 0.0000 0.0000 0.2425  5 Mg 2.04-2.09, 1 Ni 2.17
34 O 0.0000 0.0000 0.7575  5 Mg 2.04-2.09, 1 Ni 2.17
35 O 0.0000 0.2517 0.0000  6 Mg 2.10-2.13
36 O 0.0000 0.2651 0.5000  5 Mg 1.98-2.08
37 O 0.0000 0.5000 0.2501  6 Mg 2.10-2.14
38 O 0.0000 0.5000 0.7499  6 Mg 2.10-2.14
39 O 0.0000 0.7349 0.5000  5 Mg 1.98-2.08
End of the records of crystals

Thursday, February 25, 2010

The entry is interrupted by crystal structures.
(1)
AlMoBr SCAN PBEsol geometry; energy relative to the elements, uncorrected = 1.345 eV per atom; symmetry = F-43m, No. 216; total energy = -58.1 eV for the cell shown; total moment = 1.935 μB per cell; E above lowest polymorph = 1.020 eV per atom
1.0
4.3375 0.0000 0.0000
2.1687 3.7564 0.0000
2.1687 1.2521 3.5415
Br Al Mo
1 1 1
direct
0.2500 0.2500 0.2500 Br
0.5000 0.5000 0.5000 Al
0.0000 0.0000 0.0000 Mo


(2)
Be3Cu4 SCAN PBEsol geometry; symmetry = I4/mmm, No. 139; total energy = -74.7 eV for the cell shown; total moment = 0.000 μB per cell; E above lowest polymorph = 0.000 eV per atom; ΔE_f = -0.118 eV per atom
1.0
2.6264 0.0000 0.0000
0.0000 2.6264 0.0000
-1.3132 -1.3132 9.8681
Be Cu
3 4
direct
0.0000 0.0000 0.0000 Be
0.2805 0.2805 0.5610 Be
0.7195 0.7195 0.4390 Be
0.8463 0.8463 0.6927 Cu
0.4327 0.4327 0.8655 Cu
0.1537 0.1537 0.3073 Cu
0.5673 0.5673 0.1345 Cu


(3)
TaWCl2 SCAN PBEsol geometry; energy relative to the elements, uncorrected = -0.283 eV per atom; symmetry = R3m, No. 160; total energy = -153.4 eV for the cell shown; total moment = 0.000 μB per cell
1.0
2.9805 0.0000 0.0000
1.4902 2.5812 0.0000
1.4902 0.8604 9.4781
Cl W Ta
2 1 1
direct
0.7690 0.7690 0.6931 Cl
0.9803 0.9803 0.0591 Cl
0.2519 0.2519 0.2443 W
0.4988 0.4988 0.5035 Ta


(4)
KRb2ZnF SCAN PBEsol geometry; energy relative to the elements, uncorrected = -0.993 eV per atom; symmetry = P4/mmm, No. 123; total energy = -71.8 eV for the cell shown; total moment = 0.000 μB per cell
1.0
5.3472 0.0000 0.0000
0.0000 5.6417 0.0000
0.0000 0.0000 5.6417
Rb Zn K F
2 1 1 1
direct
0.0000 0.5000 0.0000 Rb
0.0000 0.0000 0.5000 Rb
0.5000 0.5000 0.5000 Zn
0.5000 0.0000 0.0000 K
0.0000 0.0000 0.0000 F


(5)
LiMg SCAN PBEsol geometry; symmetry = P2_13, No. 198; total energy = -29.4 eV for the cell shown; total moment = 0.018 μB per cell; ΔE_f = 0.010 eV per atom
1.0
5.4647 0.0000 0.0000
0.0000 5.4647 0.0000
0.0000 0.0000 5.4647
Mg Li
4 4
direct
0.9022 0.5978 0.4022 Mg
0.4022 0.9022 0.5978 Mg
0.0978 0.0978 0.0978 Mg
0.5978 0.4022 0.9022 Mg
0.0978 0.5978 0.9022 Li
0.9022 0.0978 0.5978 Li
0.5978 0.9022 0.0978 Li
0.4022 0.4022 0.4022 Li


(6)
Ti2Si2P SCAN PBEsol geometry; energy relative to the elements, uncorrected = -0.535 eV per atom; symmetry = P4/mbm, No. 127; total energy = -130.3 eV for the cell shown; total moment = 0.000 μB per cell
1.0
-2.6779 -0.7919 -2.3504
-2.7208 -3.8264 4.3890
-3.4162 4.9720 2.2170
Si Ti P
4 4 2
direct
0.5000 0.3713 0.1287 Si
0.5000 0.6287 0.8713 Si
0.5000 0.1287 0.6287 Si
0.5000 0.8713 0.3713 Si
0.0000 0.1747 0.3253 Ti
0.0000 0.3253 0.8253 Ti
0.0000 0.6747 0.1747 Ti
0.0000 0.8253 0.6747 Ti
0.0000 0.5000 0.5000 P
0.0000 0.0000 0.0000 P


(7)
Mg2CdW SCAN PBEsol geometry; symmetry = C2/m, No. 12; total energy = -108.3 eV for the cell shown; total moment = 0.000 μB per cell; ΔE_f = 0.425 eV per atom
1.0
2.8866 0.0000 0.0000
-1.4433 4.9459 -0.0033
0.0000 -1.1217 5.0789
W Mg Cd
1 2 1
direct
0.0000 0.0000 0.5000 W
0.7502 0.5003 0.7338 Mg
0.2498 0.4997 0.2662 Mg
So much for the crystal structures.

That Scale Jumped Up

(Unrelated to this entry: data records)
........
Arrangement 1

An optimized crystal structure of CeNdSe2. Source: Alexandria, functional PBE.

POSCAR file:
```
CeNdSe2
1.0
2.054 1.186 7.392
-2.054 1.186 7.392
0.000 -2.372 7.392
Ce Nd Se
1 1 2
direct
0.000 0.000 0.000 Ce
0.176 0.176 0.176 Nd
0.420 0.420 0.420 Se
0.589 0.589 0.589 Se
```

Computed properties:
Its spin magnetization is 1.04 μB per cell.


Arrangement 2

An optimized crystal structure of CeNdSe2. Source: Alexandria, functional PBE.

POSCAR file:
```
CeNdSe2
1.0
-2.982 2.982 5.965
2.982 -2.982 5.965
2.982 2.982 -5.965
Ce Nd Se
2 2 4
direct
0.375 0.625 0.750 Ce
0.625 0.375 0.250 Ce
0.125 0.875 0.250 Nd
0.875 0.125 0.750 Nd
0.126 0.376 0.750 Se
0.376 0.126 0.250 Se
0.624 0.874 0.750 Se
0.874 0.624 0.250 Se
```

Computed properties:
Its spin magnetization is 2.24 μB per cell.


Tell me which of them is the most stable. Sure, it is arrangement 2.


Arrangement 1

An optimized crystal structure of B2C. Source: Alexandria, functional PBE.

POSCAR file:
```
B2C
1.0
6.740 -1.327 0.000
6.740 1.327 0.000
-1.198 0.000 4.811
B C
8 4
direct
0.000 0.000 0.000 B
0.334 0.334 0.661 B
0.503 0.503 0.598 B
0.574 0.574 0.195 B
0.698 0.698 0.379 B
0.722 0.722 0.021 B
0.844 0.844 0.277 B
0.867 0.867 0.934 B
0.056 0.056 0.740 C
0.172 0.172 0.824 C
0.212 0.212 0.566 C
0.392 0.392 0.421 C
```

Computed properties:
Its spin magnetization is 0.00 μB per cell.


Arrangement 2

An optimized crystal structure of B2C. Source: Alexandria, functional PBE.

POSCAR file:
```
B2C
1.0
4.544 -1.363 0.000
4.544 1.363 0.000
-2.411 0.000 7.491
B C
8 4
direct
0.000 0.000 0.000 B
0.182 0.182 0.164 B
0.227 0.227 0.747 B
0.381 0.381 0.140 B
0.506 0.506 0.825 B
0.811 0.811 0.000 B
0.890 0.890 0.571 B
0.984 0.984 0.410 B
0.356 0.356 0.650 C
0.520 0.520 0.330 C
0.634 0.634 0.229 C
0.679 0.679 0.816 C
```

Computed properties:
Its spin magnetization is 0.00 μB per cell.


Tell me which of them is the most stable. Sure, it is arrangement 2.


Arrangement 1

An optimized crystal structure of HfNb2Tc2. Source: Alexandria, functional PBE.

POSCAR file:
```
HfNb2Tc2
1.0
7.734 0.000 0.000
0.000 7.734 0.000
0.000 0.000 2.983
Hf Nb Tc
2 4 4
direct
0.000 0.000 0.000 Hf
0.500 0.500 0.000 Hf
0.143 0.357 0.000 Nb
0.357 0.857 0.000 Nb
0.643 0.143 0.000 Nb
0.857 0.643 0.000 Nb
0.158 0.658 0.500 Tc
0.342 0.158 0.500 Tc
0.658 0.842 0.500 Tc
0.842 0.342 0.500 Tc
```

Computed properties:
Its spin magnetization is 0.00 μB per cell.


Arrangement 2

An optimized crystal structure of HfNb2Tc2. Source: Alexandria, functional PBE.

POSCAR file:
```
HfNb2Tc2
1.0
1.603 -8.726 0.000
1.603 8.726 0.000
0.000 0.000 3.182
Hf Nb Tc
1 2 2
direct
0.000 0.000 0.000 Hf
0.183 0.817 0.000 Nb
0.817 0.183 0.000 Nb
0.403 0.597 0.500 Tc
0.597 0.403 0.500 Tc
```

Computed properties:
Its spin magnetization is 0.00 μB per cell.


Tell me which of them is the most stable. Sure, it is arrangement 2.


Arrangement 1

An optimized crystal structure of KSrZr2. Source: Alexandria, functional PBE.

POSCAR file:
```
KSrZr2
1.0
........

 To say that last week was a really rough week for me (and I'm speaking in terms of WW week, not a regular week) would be an understatement. It wasn't rough. It was finding yourself smack dab in the eye of a hurricane rough. Plus, it was super hectic. Run here, get there, do this, don't forget that. Lots and lots of stuff. I'm not having a pity party- I promise! What I realized is, this is just how life tends to go. Pretend I'm a super thin woman that has never once had to worry about weight and going through my week. She might snack a bit here and there and gain a pound or 1.4 to be exact. Oh well, she says, it's because of the fact I didn't really pay attention to what I was eating last week but I'll do better this week. That 1.4 pounds falls off of her. No sweat. Such is life for the overweight woman who has truly dedicated herself to a life of healthy eating.
 In case you haven't guessed it, that 1.4 pounds I'm talking about is how much I gained this week. To be honest, I knew I'd have a gain. Between stress and work and life in general (and not having access to my WW books which I left at home and having no internet access for the entirety of the weekend) I didn't pay as close of attention to what I was eating as I should have. I sipped way too many Cokes while staying at my MIL's house. I was hoping that gain would be less than 2 pounds and so it was. I'm not devastated. I'm really ok. I forgive myself that 1.4 because it could have been a lot worse. I was still somewhat aware of what I was eating so I didn't abandon everything I've learned over the past month. This is a good thing.

 At my last WW meeting, a woman said that she had finally reached "lifetime" which is accomplished when one reaches their goal weight and maintains it for 6 weeks. All anyone wanted to know was how long it took her to get there. I like her response- "it doesn't matter how long it takes, it just matters that it takes". I love that. It doesn't matter how long it takes you to get to your goal. What matters is that it takes, that it sticks. That everything you've learned sticks with you. Obviously, things I'm learning are already sticking. Saturday I ate at the Hard Rock Cafe in St. Louis. Everyone got big juicy cheeseburgers and fries. I opted for the veggie burger and a salad with light balsamic vinaigrette. Do I regret not eating a cheeseburger and fries? Not at all. (Although I'm just a little starving right now and it sounds sooo good) That's my new secret weapon to fight off the impulse-eating. Tomorrow, will I regret not eating this or that or will I be glad I didn't? All of those Cokes I drank, in the moment I just "had to have one". But today, I'm thinking, wow, I wish I hadn't. I need water. It's a process. But I am well on my way.

 Happy Thursday (which means tomorrow's Friday- yee haw!)! Happy Eating!

1 comment:

  1. it's bound to happen. it's been a rough week! i think you still did awesome considering. way to go diet diva!! :) hopefully it will be a loss next week. so happy to see a new blog post!
